Exercise:
Your job: work out how many lines further below have the word "is" in them; a number is enough.

Input:
'''
Record 1
Below is a relaxed structure of Ba2LuCu3O6, with properties calculated at the PBE level.

Summary:
Electronic total energy ... -6.100 eV/atom
Energy relative to the elements ... -2.25 eV per atom
Corrected total energy (MP2020 scheme) ... -77.3 eV/cell
Symmetry ... P4/mmm

Cell and atoms, written as POSCAR:
```
Ba2LuCu3O6
1.0
3.8511 0.0000 0.0000
0.0000 3.8511 0.0000
0.0000 0.0000 12.1112
Ba Lu Cu O
2 1 3 6
Direct
0.0000 0.0000 0.1963
0.0000 0.0000 0.8037
0.0000 0.0000 0.5000
0.5000 0.5000 0.0000
0.5000 0.5000 0.3694
0.5000 0.5000 0.6306
0.0000 0.5000 0.3849
0.0000 0.5000 0.6151
0.5000 0.0000 0.3849
0.5000 0.0000 0.6151
0.5000 0.5000 0.1499
0.5000 0.5000 0.8501
```

Record 2
Below is a relaxed structure of Dy5Pt3, with properties calculated at the PBE level.

Summary:
Electronic total energy ... -6.156 eV/atom
Energy relative to the elements ... -1.00 eV per atom
Symmetry ... P6_3/mcm

Cell and atoms, written as POSCAR:
```
Dy5Pt3
1.0
8.4663 0.0000 0.0000
-4.2331 7.3320 0.0000
0.0000 0.0000 6.1968
Dy Pt
10 6
Direct
0.0000 0.2466 0.2500
0.0000 0.7534 0.7500
0.2466 0.0000 0.2500
0.2466 0.2466 0.7500
0.3333 0.6667 0.0000
0.3333 0.6667 0.5000
0.6667 0.3333 0.0000
0.6667 0.3333 0.5000
0.7534 0.0000 0.7500
0.7534 0.7534 0.2500
0.0000 0.3941 0.7500
0.0000 0.6059 0.2500
'''

Done:
2